I have been pushing my own campaign to not only fight the Republicans nationwide, but also to scare the shit out of them. This started from a pacnicked post on a NYC Republican site where their fearful leader expressed desperate concern that the Republicans could be swept aside completely in NY State. Unlikely? Maybe. But if they are scared, I am more than willing to feed their fears and strengthen the Democrats as I go along.

-- Misplaced calculated crystals --
........
Arrangement w

First-principles (PBE) data for a geometry-optimized Ce2In2Ag3 structure, as listed in the Alexandria database. Values from VASP.

Geometry as Quantum ESPRESSO input:
```
&SYSTEM
  ibrav = 0, nat = 14, ntyp = 3
/
ATOMIC_SPECIES
Ce 140.12 Ce.upf
In 114.82 In.upf
Ag 107.87 Ag.upf
CELL_PARAMETERS angstrom
2.188 -10.291 0.000
2.188 10.291 0.000
0.000 0.000 7.842
ATOMIC_POSITIONS crystal
Ce 0.056 0.944 0.750
Ce 0.151 0.849 0.250
Ce 0.849 0.151 0.750
Ce 0.944 0.056 0.250
In 0.313 0.687 0.053
In 0.313 0.687 0.447
In 0.687 0.313 0.553
In 0.687 0.313 0.947
Ag 0.229 0.771 0.750
Ag 0.441 0.559 0.573
Ag 0.441 0.559 0.927
Ag 0.559 0.441 0.073
Ag 0.559 0.441 0.427
Ag 0.771 0.229 0.250
```

---

Arrangement x

First-principles (PBE) data for a geometry-optimized Ce2In2Ag3 structure, as listed in the Alexandria database. Values from VASP.

Geometry as Quantum ESPRESSO input:
```
&SYSTEM
  ibrav = 0, nat = 7, ntyp = 3
/
ATOMIC_SPECIES
Ce 140.12 Ce.upf
In 114.82 In.upf
Ag 107.87 Ag.upf
CELL_PARAMETERS angstrom
2.261 -11.842 0.000
2.261 11.842 0.000
0.000 0.000 3.111
ATOMIC_POSITIONS crystal
Ce 0.137 0.863 0.000
Ce 0.863 0.137 0.000
In 0.287 0.713 0.500
In 0.713 0.287 0.500
Ag 0.000 0.000 0.000
Ag 0.441 0.559 0.500
Ag 0.559 0.441 0.500
```

---

Computed relative energies in units of kJ/mol of atoms: arrangement w 0.0; arrangement x 4.5

---

Arrangement w

First-principles (PBE) data for a geometry-optimized LaCeInAg structure, as listed in the Alexandria database. Values from VASP.

Geometry as Quantum ESPRESSO input:
```
&SYSTEM
  ibrav = 0, nat = 4, ntyp = 4
/
ATOMIC_SPECIES
La 138.91 La.upf
Ce 140.12 Ce.upf
In 114.82 In.upf
Ag 107.87 Ag.upf
CELL_PARAMETERS angstrom
0.000 3.862 3.862
3.862 0.000 3.862
3.862 3.862 0.000
ATOMIC_POSITIONS crystal
La 0.000 0.000 0.000
Ce 0.500 0.500 0.500
In 0.250 0.250 0.250
Ag 0.750 0.750 0.750
```

---

Arrangement x

First-principles (PBE) data for a geometry-optimized LaCeInAg structure, as listed in the Alexandria database. Values from VASP.

Geometry as Quantum ESPRESSO input:
```
&SYSTEM
  ibrav = 0, nat = 4, ntyp = 4
/
ATOMIC_SPECIES
La 138.91 La.upf
Ce 140.12 Ce.upf
In 114.82 In.upf
Ag 107.87 Ag.upf
CELL_PARAMETERS angstrom
3.686 0.000 0.000
0.000 3.686 0.000
0.000 0.000 8.320
ATOMIC_POSITIONS crystal
La 0.000 0.000 0.000
Ce 0.000 0.000 0.521
In 0.500 0.500 0.266
Ag 0.500 0.500 0.752
```

---

Computed relative energies in units of kJ/mol of atoms: arrangement w 1.9; arrangement x 0.0

---

Arrangement w

First-principles (PBE) data for a geometry-optimized CePuInAg structure, as listed in the Alexandria database. Values from VASP.

Geometry as Quantum ESPRESSO input:
```
&SYSTEM
  ibrav = 0, nat = 4, ntyp = 4
/
ATOMIC_SPECIES
Ce 140.12 Ce.upf
Pu 244.00 Pu.upf
In 114.82 In.upf
Ag 107.87 Ag.upf
CELL_PARAMETERS angstrom
0.000 3.770 3.770
3.770 0.000 3.770
3.770 3.770 0.000
ATOMIC_POSITIONS crystal
Ce 0.000 0.000 0.000
Pu 0.500 0.500 0.500
In 0.750 0.750 0.750
Ag 0.250 0.250 0.250
```

---

Arrangement x
........
-- Here the piece continues --

My original aim was NY State. Now I am expanding. I am expanding to Iowa, where Democrats could make major gains, and South Dakota, in an effort to fight the anti-American attack on women’s rights in South Dakota. Read more below.
My Sweep NY State effort got off to a great start, with nearly $600 donated in one day. But that is all so far. We have a shot at taking every single Congressional seat in NY State. Some are long shots some are more certain, but if we ignore the opportinty they all will be missed. People assume NY is solidly blue. It isn’t. It is purple as can be, but the Democrats have the potential to make great inroads upstate, which the Republicans once had sewn up. The NY State Republicans are in disarray and desperate. This is one case where I say let’s hit them while they are down. Let’s make the Republicans panic like they haven’t panicked since Nixon’s downfall. SWEEP NEW YORK STATE!

My second effort aims at Sweeping Iowa. This has gotten about $100 in donations so far. Iowa is America’s heartland and I firmly believe that the progressive and populist message of the traditional Democratic Party is PERFECT for Iowa. It won us Montana in 2004 seemingly against all odds. It is time to bring that message home to the Heartland. Furthermore, Iowa is the home of one of my “Katrina 11” targets, one of the Republicans who voted against aid to Katrina victims. I also list on my Sweep Iowa Page a link to the DFA A-list candidate Elesha Gayman, a great young progressive supported by Democracy for America. Finally, one of Iowa’s Congressional districts is an open seat this year, giving us a perfect pickup opportunity. All of these opportunities are too perfect to ignore. Punishing one of the Katrina 11, helping a DFA Progressive, and picking up an open seat. Help us Sweep Iowa and retake America’s heartland.

**What comes next are calculated crystals, not part of the piece**
~~~
Entry 1
# Mg2MnIrO6

An optimized crystal structure of Mg2MnIrO6 (PBE+U, the Alexandria database).

Unit cell a=5.174 b=5.173 c=5.513 alpha=62.03 beta=62.01 gamma=59.99
Element x y z (fractional)
Mg: 0.524 0.524 0.429
Mg: 0.020 0.020 0.939
Mn: 0.813 0.813 0.561
Ir: 0.320 0.320 0.041
O: 0.596 0.212 0.253
O: 0.212 0.939 0.253
O: 0.939 0.596 0.253
O: 0.423 0.705 0.762
O: 0.705 0.110 0.762
O: 0.110 0.423 0.762

Calculated values
* total moment: 2.0 μB per formula unit

=====

Entry 2
# Mg2MnIrO6

An optimized crystal structure of Mg2MnIrO6 (PBE+U, the Alexandria database).

Unit cell a=5.259 b=5.084 c=9.254 alpha=57.99 beta=90.00 gamma=90.00
Element x y z (fractional)
Mg: 0.943 0.215 0.766
Mg: 0.443 0.785 0.734
Mg: 0.557 0.215 0.266
Mg: 0.057 0.785 0.234
Mn: 0.500 0.000 0.000
Mn: 0.000 0.000 0.500
Ir: 0.500 0.500 0.500
Ir: 0.000 0.500 0.000
O: 0.417 0.588 0.270
O: 0.188 0.879 0.942
O: 0.194 0.216 0.592
O: 0.694 0.784 0.908
O: 0.688 0.121 0.558
O: 0.917 0.412 0.230
O: 0.083 0.588 0.770
O: 0.312 0.879 0.442
O: 0.306 0.216 0.092
O: 0.812 0.121 0.058
O: 0.806 0.784 0.408
O: 0.583 0.412 0.730

Calculated values
* total moment: 2.0 μB per formula unit

=====

It turns out entry 1 is the most stable, with the second structure 26 meV per atom higher.

----------

A plane-wave DFT calculation with PBE was carried out for an optimized crystal structure of RhSO3.

The space group is Pm-3m (No. 221) and the conventional cell measures 3.8471, 3.8471 and 3.8471 Å, with angles of 90.00, 90.00 and 90.00 degrees. Symmetry generates all atoms from Rh at (0.0000, 0.0000, 0.0000), S at (0.5000, 0.5000, 0.5000) and O at (0.0000, 0.0000, 0.5000).

The value obtained for the theoretical density is 5.336 g cm⁻³. The total energy comes out at -4.939 eV per atom. For the magnetic moment, the calculation gives 0.00 Bohr magnetons per cell. The crystal system is cubic.

----------

Record 1
Here is a relaxed structure of MgVAs2Br from Alexandria via LeMat-Bulk. Energies are from GGA-PBE.

Cell lengths 4.7125, 4.7125, 5.4437 Å; angles 90.00, 90.00, 90.00 degrees
Last column: magnetic moment on the atom in μB.
Fractional coordinates of all 5 atoms:
As  0.0000  0.5000  0.0000  -0.11
As  0.5000  0.0000  0.0000  -0.11
Mg  0.5000  0.5000  0.5000  0.03
Br  0.0000  0.0000  0.5000  -0.02
V  0.0000  0.0000  0.0000  1.05

Excess energy over the best structure of this formula in the dataset ... 0 meV per atom
Formation energy without anion corrections ... 0.015 eV per atom
Symmetry ... P4/mmm
V ... 24.2 Å³ per atom

Record 2
Here is a relaxed structure of PrSm5Y6 from Alexandria via LeMat-Bulk. Energies are from GGA-PBE.

Cell lengths 6.2477, 8.0509, 8.0509 Å; angles 84.57, 97.52, 97.52 degrees
Fractional coordinates of all 12 atoms:
Pr  0.0000  0.0000  0.0000
Y  0.7500  0.9165  0.5829
Y  0.2500  0.4171  0.0835
Y  0.2507  0.7497  0.7497
Y  0.7493  0.2503  0.2503
Y  0.7500  0.5829  0.9165
Y  0.2500  0.0835  0.4171
Sm  0.5000  0.8324  0.1676
Sm  0.0000  0.6659  0.3341
~~~

Finally, we all know that as soon as Bush got his Supreme Court nominees through that we’d get an attack on women’s freedoms. Well, the first attack came in South Dakota. Well, to help in this battle for American freedoms, I have started a Blue South Dakota Page. The goal of this page is to help the pro-Choice efforts of the South Dakota Campaign for Healthy Families (President Cecelia Fire Thunder’s organization) as well as strengthening the Democratic Party of South Dakota as part of Howard Dean’s 50 State Strategy. So, help fight for women’s rights NATIONWIDE by helping South Dakota’s women win this critical battle in the war against Choice.

-- begin --
1.
# GGA-PBE Ca2PmPt3, relaxed
# Energy of formation from the pure elements   -5.91 eV per formula unit
# Total energy   -5.46 eV/atom
# ρ   10.2 Mg/m³
# Spin magnetization   0.00 Bohr magnetons per cell
data_Ca2PmPt3
_chemical_formula_sum 'Ca8 Pm4 Pt12'
_space_group_name_H-M_alt 'C m m m'
_space_group_IT_number 65
_space_group_name_Hall '-C 2 2'
_cell_length_a 4.985
_cell_length_b 14.968
_cell_length_c 7.067
_cell_angle_alpha 90.00
_cell_angle_beta 90.00
_cell_angle_gamma 90.00
loop_
_atom_site_label
_atom_site_fract_x
_atom_site_fract_y
_atom_site_fract_z
Ca1 0.000 0.000 0.000
Ca2 0.000 0.000 0.500
Ca3 0.000 0.333 0.000
Pm1 0.000 0.337 0.500
Pt1 0.000 0.171 0.259
Pt2 0.000 0.500 0.249

2.
# GGA-PBE CaPm4Pt2, relaxed
# Energy of formation from the pure elements   -4.30 eV per formula unit
# Total energy   -5.34 eV/atom
# Offset from the most stable computed form   0 meV per atom
# ρ   8.2 Mg/m³
# Spin magnetization   0.00 Bohr magnetons per cell
data_CaPm4Pt2
_chemical_formula_sum 'Ca2 Pm8 Pt4'
_space_group_name_H-M_alt 'P 1 21/m 1'
_space_group_IT_number 11
_space_group_name_Hall '-P 2yb'
_cell_length_a 8.058
_cell_length_b 6.675
_cell_length_c 8.141
_cell_angle_alpha 90.00
_cell_angle_beta 111.72
_cell_angle_gamma 90.00
loop_
_atom_site_label
_atom_site_fract_x
_atom_site_fract_y
_atom_site_fract_z
Ca1 0.159 0.250 0.017
Pm1 0.017 0.250 0.379
Pm2 0.248 0.750 0.338
Pm3 0.408 0.003 0.757
Pt1 0.283 0.750 0.993
Pt2 0.378 0.250 0.412

3.
# GGA-PBE CaPm4Pt2, relaxed
# Energy of formation from the pure elements   -3.68 eV per formula unit
# Total energy   -5.25 eV/atom
# Offset from the most stable computed form   87 meV per atom
# ρ   7.4 Mg/m³
# Spin magnetization   0.00 Bohr magnetons per cell
data_CaPm4Pt2
_chemical_formula_sum 'Ca2 Pm8 Pt4'
_space_group_name_H-M_alt 'P 1'
_space_group_IT_number 1
_space_group_name_Hall 'P 1'
_cell_length_a 7.498
_cell_length_b 7.499
_cell_length_c 8.916
_cell_angle_alpha 106.35
_cell_angle_beta 106.33
_cell_angle_gamma 97.06
loop_
_atom_site_label
_atom_site_fract_x
_atom_site_fract_y
_atom_site_fract_z
Ca1 0.000 0.000 0.000
Ca2 0.035 0.966 0.501
Pm1 0.210 0.669 0.739
Pm2 0.252 0.708 0.227
Pm3 0.265 0.317 0.395
Pm4 0.351 0.230 0.897
Pm5 0.690 0.690 0.591
Pm6 0.705 0.175 0.239
Pm7 0.728 0.653 0.090
Pm8 0.737 0.212 0.723
Pt1 0.499 0.466 0.740
Pt2 0.504 0.467 0.241
Pt3 0.588 0.942 0.880
Pt4 0.979 0.554 0.380

4.
# GGA-PBE CaPmPt2, relaxed
# Energy of formation from the pure elements   -4.08 eV per formula unit
# Total energy   -5.73 eV/atom
# Offset from the most stable computed form   33 meV per atom
# ρ   10.8 Mg/m³
# Spin magnetization   0.00 Bohr magnetons per cell
data_CaPmPt2
_chemical_formula_sum 'Ca4 Pm4 Pt8'
_space_group_name_H-M_alt 'F m -3 m'
_space_group_IT_number 225
_space_group_name_Hall '-F 4 2 3'
_cell_length_a 7.068
_cell_length_b 7.068
_cell_length_c 7.068
_cell_angle_alpha 90.00
_cell_angle_beta 90.00
_cell_angle_gamma 90.00
loop_
_atom_site_label
_atom_site_fract_x
_atom_site_fract_y
-- stop --
**The data records stop here**

More will come. But never forget that our ability to win big in 2006 depends on how much we put into it. If we don’t try hard we will miss this opportunity. So, start the fight in NY State, Iowa and South Dakota. Please visit these Act Blue sites and give what you can…even if it’s just $10.